A Year of Brownies

A Year of Brownies

I miss it here. And you know? There's only one way of changing that. Getting back to it. This morning, while putting together a brownie for coffee guests coming over later, it hit me: I need a project. No better time for starting one than when the year has just turned.

I think I have a pretty good recipe for brownies. At least I have one I always make -  I've made others, but have somehow always returned to this one. But is it really the best? I like squidgy and gooey more than cakey brownies. I like plain, unadorned brownies - no nuts, berries, add-ons - just chocolate, please. But perhaps I'm in the wrong? Thing is, I don't know. I need to find out.

So prepare for a 2016 with a Baker's Dozen of Brownies - one for each month. My list is as follows:

January: My go-to - Little Red Barn Baking Book's Brownies
February: Claus Meyer's Brownies (from Meyers Bageri)
March: Nigella Lawson's Birthday Brownies (from How to be a Domestic Goddess)
April: Smitten Kitchen's Favorite Brownies
May: Jim Dodge's Cakey Brownies (from The Essence of Chocolate)
June: Foodbeam's Brownie-like Cookies and ice cream sandwiches
July: David Lebovitz's Helene's Brownies
August: Lisa Yockelson's Chocolate, pure and straight, Brownies (from Chocolate, Chocolate)
September: Anne au Chocolat's Brownies with white chocolate chips
October: Thomas Keller's Brownies (via Pretty. Simple. Sweet.)
November: Markus Grigo's Brownies (from Grigos Hjemmebag)
December: Orangette's Brownies
The 13.th: a surprise, to be found while the experiment is going on ;)

Mikkel Friis-Holm's Brownies
Blondies from Deb
Brownies with frosting!
Skillet Brownies from Martha Stewart
Browniest Cookies - also from Deb (I could have done 12 brownie recipesfrom her site alone, I think! ;))
Brownies with cookiedough
Brownies with four chocolates

Research (may be extended)
Bon Appetit on Brownies

- Perfect Brownies Recipe
Everyone likes their brownies just so, and so it comes as no surprise that there are untold thousands of brownie recipes. How do I know this? The web site Recipe Source has 569 recipes alone for brownies. The recipes on that site include such varied...

Here the page breaks off for records of crystals:
<<<
Entry 1:
Material: La5Sn3
Method: DFT, r2SCAN
State: optimized geometry

Cell: 9.645 9.645 9.645 Å, 96.43 96.43 140.90°
Positions (direct):
La 0.083 0.785 0.868
La 0.215 0.083 0.299
La 0.250 0.750 0.500
La 0.285 0.583 0.868
La 0.417 0.285 0.701
La 0.583 0.715 0.299
La 0.715 0.417 0.132
La 0.750 0.250 0.500
La 0.785 0.917 0.701
La 0.917 0.215 0.132
Sn 0.160 0.340 0.500
Sn 0.250 0.250 0.000
Sn 0.340 0.840 0.180
Sn 0.660 0.160 0.820
Sn 0.750 0.750 0.000
Sn 0.840 0.660 0.500

Summary:
For the calculated volume, the calculation gives 533.2 Å³/cell. Its electronic total energy is -28.71 eV/atom. As for the symmetry: I4/mcm, No. 140.


Entry 2:
Material: La3Sn5
Method: DFT, r2SCAN
State: optimized geometry

Cell: 6.711 6.711 10.686 Å, 90.00 90.00 77.49°
Positions (direct):
La 0.139 0.861 0.750
La 0.298 0.298 0.000
La 0.298 0.298 0.500
La 0.702 0.702 0.000
La 0.702 0.702 0.500
La 0.861 0.139 0.250
Sn 0.009 0.575 0.250
Sn 0.179 0.821 0.050
Sn 0.179 0.821 0.450
Sn 0.425 0.991 0.250
Sn 0.469 0.531 0.250
Sn 0.531 0.469 0.750
Sn 0.575 0.009 0.750
Sn 0.821 0.179 0.550
Sn 0.821 0.179 0.950
Sn 0.991 0.425 0.750

Summary:
For the calculated volume, the calculation gives 469.9 Å³/cell. Its electronic total energy is -27.42 eV/atom. As for the symmetry: Cmcm, No. 63.


Entry 3:
Material: La2Tl3Sn3
Method: DFT, r2SCAN
State: optimized geometry

Cell: 4.789 4.820 9.807 Å, 90.00 90.00 90.00°
Positions (direct):
La 0.000 0.000 0.242
La 0.000 0.000 0.758
Tl 0.000 0.500 0.500
Tl 0.500 0.000 0.000
Tl 0.500 0.000 0.500
Sn 0.000 0.500 0.000
Sn 0.500 0.500 0.245
Sn 0.500 0.500 0.755

Summary:
For the calculated volume, the calculation gives 226.4 Å³/cell. Its electronic total energy is -37.18 eV/atom. As for the symmetry: Pmmm, No. 47.


Entry 4:
Material: LaZnSn
Method: DFT, r2SCAN
State: optimized geometry

Cell: 4.587 4.587 17.308 Å, 90.00 90.00 120.00°
Positions (direct):
La 0.000 0.000 0.000
La 0.000 0.000 0.250
La 0.000 0.000 0.500
La 0.000 0.000 0.750
Zn 0.333 0.667 0.156
Zn 0.333 0.667 0.344
Zn 0.667 0.333 0.656
Zn 0.667 0.333 0.844
Sn 0.333 0.667 0.617
Sn 0.333 0.667 0.883
Sn 0.667 0.333 0.117
Sn 0.667 0.333 0.383

Summary:
For the calculated volume, the calculation gives 315.3 Å³/cell. Its electronic total energy is -21.91 eV/atom. As for the symmetry: P6_3/mmc, No. 194.


Entry 5:
Material: LaTe
Method: DFT, r2SCAN
State: optimized geometry

Cell: 6.494 6.494 6.494 Å, 90.00 90.00 90.00°
Positions (direct):
La 0.000 0.000 0.000
La 0.000 0.500 0.500
La 0.500 0.000 0.500
La 0.500 0.500 0.000
Te 0.000 0.000 0.500
Te 0.000 0.500 0.000
Te 0.500 0.000 0.000
Te 0.500 0.500 0.500

Summary:
For the calculated volume, the calculation gives 273.9 Å³/cell. Its electronic total energy is -29.42 eV/atom. As for the symmetry: Fm-3m, No. 225.


Entry 6:
Material: LaTe3
Method: DFT, r2SCAN
State: optimized geometry

Cell: 4.428 27.172 4.431 Å, 90.00 90.00 90.00°
Positions (direct):
La 0.000 0.171 0.250
La 0.000 0.829 0.750
La 0.500 0.329 0.750
La 0.500 0.671 0.250
>>>

- Mondays With Maida - Cream-cheese Brownies
Page 76 in the old book / page 124 in the new book I've never been fond of cheesecake, so I approached these brownies with some suspicion. I know I should give cheesecake another chance, and indeed the cream cheese mixture in these brownies was quite...

- Mondays With Maida - Greenwich Village Brownies
Page 75 in the old book / page 123 in the new book The brownies this week are truly over the top - 6 ounces of chocolate, 8 ounces of butter, 6 eggs, 3 cups of sugar plus some corn syrup for good measure, and 3 cups of pecans! Care to hazard a guess...

- Mondays With Maida - Petites Trianons
Page 73 in the old book / page 119 in the new book Petites Trianons fall somewhere between brownies and cake. The batch I made was cakey and a little drier than I would have liked. I baked them for exactly 28 minutes as prescribed by Maida, but I can't...

- A Year Of Brownies - March
The first month of spring, and time for something new. For me, and The Year of Brownies, that meant really getting out of the comfort zone, in the form of adding something not chocolate to my brownies. Enter the walnut. I've had bad experiences...

